swan song
puffy eyes wet like q-tips, swollen
and drooping
in the diaphanous dawn,
drinking Chock Full o’Nuts
in your I ♡ Jesus mug.
so this is it. body so sobbed out
if something moved me
in any direction emotionally,
i’d keel over, and crumple
into the recycled pile,
to be dragged out to the curb,
among Fancy Feast cans
and Modelo bottles.
i loved you i loved you i loved you so much
i carved out a space in my SOUL
for you to reside in, always.
when you pulled away,
i filled the crater with whatever i could:
scraps of your sweater, skin flakes from your Hawaii sunburn,
pencil shavings, platitudes, excruciating silences, your 90 day coin,
precious hours in Prospect spent catching autumn leaves,
the cold biscotti sludge at the bottom of your coffee mug—
and it all felt so real, i could convince
myself it was really you that existed there.
yesterday i stuck my fingers in the hole
and wriggled around, trying to find you.
i pulled out a pair of snotted in socks,
an Arthur Russell CD, a toy car
crafted from a soup can,
so many cigarette butts,
curls of melted candle wax,
and found the space
what to do with this boyfriend sized chasm?
i’m leaking all over the city.
in the dim drab dark. steady din of discourse enfolds us
as we wait. lowkey philosophical. wooden chairs arranged
haphazardly, shifted by conversation, like desire paths…
or sand spun mandalas from pufferfish mating rituals.
this is my interpretation of that. WATCH ME (>ᴗ•) !
we buy High Noon’s from the Chinese liquor store
for the pregame. chug them in the basement.
fully clothed in the shower, i hike my heel up. half moon pose.
c’mon…don’t you want to keep me in your camera roll?
hey guys, i’m going to read you something. as i speak
the heater is like hmmm. everybody’s laughing.
at me? with me? feeding on their laughter
like a fish,
closing around a nightcrawler.
i’m so gullible.
the hook lances my lower lip.
OH NO they’re reeling me into the audience clout boat!
no no no no no no no PUT ME BACK.
i want to swim!!!
.° 。𖦹˚ 𓆝 。𖦹°
new years elegy
11:52. curled up in the clawfoot with a girl i don’t know.
force fed Swedish meatballs by a gluten free Mets fan.
masticating slowly like i forgot how. i can’t taste anything,
it’s all texture. jeering hardwood stairs, sparse clouds
of soft carpeting. a warm body beside me, pretty face
still rendering itself. i think i will kiss him. i guess.
sobbing in the I Love You way with Yay over the sink.
dead skin collects lipstick pigment. peel it off w/ my teeth,
chewing the shreds for sustenance, spare calories to burn.
we migrate to the kitchen, suffusing the swarms
of beautiful Brooklynites. so many sweet strangers.
who’s dicing onions? bc i can’t seem
to keep my smudged liner from sliding south.
Now Entering News Years Oblivion.
and onto the next chapter, like
licking your index finger to unstick the pages,
surrendering to whatever
this pandemonium produces. key
after key, til one fits snug
in the lock. turning
over a new leaf,
and discovering a cluster of rot,
and strange, squirming insects.
Dec 6
guys i’m just a poet
Dec 7
fuck it, i’ll capitulate. guess i’m an e-girl now.
Dec 12
week 3 no sex…i can move the water bottle with my mind…
Dec 15
## Misplaced crystal structures
<<<
[1]
Computed, not measured: a relaxed structure of Np4InGa12 at the GGA-PBE level of DFT.

abc: 7.589 7.589 7.589
angles: 109.47 109.47 109.47
Last column: magnetic moment on the atom in μB.
Sites, in units of the cell vectors:
Np  0.000  0.000  0.500  3.84
Np  0.500  0.000  0.000  3.84
Np  0.500  0.500  0.500  3.84
Np  0.000  0.500  0.000  3.84
In  0.000  0.000  0.000  -0.03
Ga  0.000  0.314  0.314  0.00
Ga  0.000  0.686  0.686  0.00
Ga  0.686  0.686  0.000  0.00
Ga  0.314  0.314  0.000  0.00
Ga  0.314  0.000  0.314  0.00
Ga  0.686  0.000  0.686  0.00
Ga  0.500  0.250  0.750  0.00
Ga  0.500  0.750  0.250  0.00
Ga  0.750  0.250  0.500  0.00
Ga  0.250  0.750  0.500  0.00
Ga  0.750  0.500  0.250  0.00
Ga  0.250  0.500  0.750  0.00

Results
Energy of formation: -0.148 eV/atom
E: -5.491 eV/atom
Theoretical density: 9.37 g/cm3
Crystal system: cubic

---

[2]
Computed, not measured: a relaxed structure of Np2In9Ga at the GGA-PBE level of DFT.

abc: 4.628 4.628 14.090
angles: 90.00 90.00 90.00
Last column: magnetic moment on the atom in μB.
Sites, in units of the cell vectors:
Np  0.000  0.000  0.333  4.04
Np  0.000  0.000  0.667  4.04
In  0.500  0.500  0.000  0.01
In  0.500  0.500  0.336  0.02
In  0.500  0.500  0.664  0.02
In  0.500  0.000  0.164  0.01
In  0.500  0.000  0.500  0.02
In  0.500  0.000  0.836  0.01
In  0.000  0.500  0.164  0.01
In  0.000  0.500  0.500  0.02
In  0.000  0.500  0.836  0.01
Ga  0.000  0.000  0.000  0.01

Results
Energy of formation: 0.039 eV/atom
E: -4.424 eV/atom
Theoretical density: 8.68 g/cm3
Crystal system: tetragonal

---

[3]
Computed, not measured: a relaxed structure of NpInGa6 at the GGA-PBE level of DFT.

abc: 4.054 6.314 6.314
angles: 90.02 90.00 90.00
Last column: magnetic moment on the atom in μB.
Sites, in units of the cell vectors:
Np  0.500  0.500  0.500  3.84
In  0.500  0.000  0.000  -0.01
Ga  0.000  0.754  0.246  0.01
Ga  0.000  0.246  0.754  0.01
Ga  0.000  0.754  0.754  0.01
Ga  0.000  0.246  0.246  0.01
Ga  0.500  0.500  0.000  0.02
Ga  0.500  0.000  0.500  0.02

Results
Energy of formation: 0.001 eV/atom
E: -4.229 eV/atom
Theoretical density: 7.91 g/cm3
Crystal system: tetragonal

---

[4]
Computed, not measured: a relaxed structure of NpIn2Ga at the GGA-PBE level of DFT.

abc: 6.284 6.476 6.476
angles: 58.01 60.98 60.98
Last column: magnetic moment on the atom in μB.
Sites, in units of the cell vectors:
Np  0.250  0.250  0.250  3.87
Np  0.750  0.750  0.750  3.87
In  0.250  0.250  0.750  0.02
In  0.250  0.750  0.250  0.02
In  0.750  0.750  0.250  0.02
In  0.750  0.250  0.750  0.02
Ga  0.750  0.250  0.250  0.01
Ga  0.250  0.750  0.750  0.01

Results
Energy of formation: -0.029 eV/atom
E: -5.390 eV/atom
Theoretical density: 9.58 g/cm3
Crystal system: tetragonal
Energy above the lowest structure with this stoichiometry: 0.0000 eV per atom

---

[5]
Computed, not measured: a relaxed structure of NpIn2Ga at the GGA-PBE level of DFT.

abc: 5.175 5.175 5.175
angles: 60.00 60.00 60.00
>>>
## The page goes on
my roommates experienced soul bond the other night and won’t stop speaking in riddles
Dec 15
Chat what if i never love again
Dec 17
threw my flip phone at my laptop and broke the screen. the dangers of technology are far worse than i ever could’ve imagined.
Dec 21
suddenly i’m surrounded by so many mustached men.
Dec 25
i’m gonna start tweeting
Dec 30
Please Mind the Gap Relationship
Jan 8
crashing out so astronomically, nothing will ever be the same
Jan 10
The Ulta worker was mean to me i was so polite and she was mean to me so i ate all the lipstick
Jan 11
I’m going to say everything on my mind for as long as i live, no matter the consequences
Jan 12
i was fuckin on a slut and i was posting abt u
Jan 13
never have i ever had any clout
Jan 14
is Yeat…Deleuze? Idk…my roommate saying some shit
Jan 15
ah….to groom your groomer. to goon your gooner. the circle of life.
Jan 19
Not beating the sick freak allegations. even though i’m a sweetheart.
Jan 20
can’t stop hanging out with writers.
Jan 21
I think I could bag Conor Oberst
Jan 21
Never mind about Conor Oberst I actually don’t care
Jan 21
i’m subtweeting YOU.